What to do >
Reproduce the block underneath exactly, please.
Given >
********
{
  "formula": "C24H28ClN3O",
  "method": "ωB97M-V with the def2-TZVPD basis set",
  "lumo_ev": 0.49,
  "gap_ev": 8.361,
  "max_force_ev_per_a": 0.70,
  "e_homo_ev": -7.9,
  "e_tot_ev": -44384.48628,
  "elements": ["C", "H", "H", "H", "C", "N", "H", "C", "C", "C", "C", "C", "C", "C", "O", "H", "C", "C", "C", "C", "H", "H", "H", "H", "H", "H", "H", "H", "N", "C", "C", "C", "N", "C", "C", "C", "C", "C", "C", "H", "H", "Cl", "H", "H", "H", "H", "H", "H", "H", "C", "H", "H", "H", "C", "H", "H", "H"],
  "xyz": [[-4.7464, -1.1418, 1.6708], [-4.9921, -1.5051, 2.6656], [-3.6814, -0.9296, 1.6353], [-5.2883, -0.2168, 1.4941], [-5.1352, -2.1968, 0.6309], [-4.9363, -1.6622, -0.7275], [-5.5154, -2.2000, -1.3649], [-3.5778, -1.6110, -1.2727], [-2.7400, -0.5066, -0.6771], [-1.4125, -0.7255, -0.3532], [-0.6234, 0.3014, 0.1399], [-1.1508, 1.5840, 0.3146], [-2.4777, 1.8184, -0.0222], [-3.2741, 0.7716, -0.5022], [-4.5721, 1.0313, -0.7880], [-5.0175, 0.1623, -0.9016], [-3.1062, 3.1775, 0.1113], [-2.0633, 4.2836, 0.1938], [-1.0348, 3.9230, 1.2567], [-0.2578, 2.6859, 0.8205], [0.4375, 2.9556, 0.0175], [0.3484, 2.3243, 1.6554], [-0.3428, 4.7507, 1.4216], [-1.5482, 3.7212, 2.1994], [-1.5637, 4.3952, -0.7706], [-2.5475, 5.2305, 0.4361], [-3.7276, 3.1849, 1.0125], [-3.7764, 3.3370, -0.7353], [0.7289, 0.0262, 0.4633], [1.7225, -0.0556, -0.4614], [1.4622, 0.0520, -1.8214], [2.5165, -0.0216, -2.7271], [3.7720, -0.1874, -2.3976], [4.0624, -0.3190, -1.0901], [5.4157, -0.5132, -0.7419], [5.7706, -0.6659, 0.5681], [4.8108, -0.6426, 1.5885], [3.4940, -0.4485, 1.2710], [3.0789, -0.2724, -0.0621], [2.7683, -0.4512, 2.0719], [5.1177, -0.7820, 2.6133], [7.4291, -0.9066, 0.9950], [6.1449, -0.5396, -1.5351], [2.3200, 0.0746, -3.7880], [0.4538, 0.2116, -2.1688], [1.0027, 0.1836, 1.4206], [-0.9742, -1.7033, -0.4903], [-3.0398, -2.5629, -1.1766], [-3.6877, -1.4101, -2.3469], [-6.6346, -2.4893, 0.7566], [-6.9268, -3.2984, 0.0886], [-6.8783, -2.7820, 1.7743], [-7.2132, -1.6042, 0.5028], [-4.3449, -3.4856, 0.8995], [-4.5137, -4.2149, 0.1086], [-4.6669, -3.9233, 1.8405], [-3.2796, -3.2808, 0.9701]],
  "atomic_forces_ev_per_a": [[-0.04, -0.15, -0.12], [-0.01, -0.04, 0.14], [0.07, 0.02, 0.07], [-0.07, 0.12, 0.01], [-0.14, -0.09, 0.43], [-0.18, -0.10, -0.32], [0.06, 0.05, 0.03], [0.15, 0.00, -0.09], [-0.07, -0.06, -0.19], [-0.05, 0.26, 0.12], [-0.32, -0.08, -0.07], [0.17, -0.29, -0.12], [-0.36, -0.07, -0.06], [0.35, -0.05, 0.07], [0.05, 0.18, -0.09], [-0.08, -0.08, 0.10], [0.02, 0.13, -0.13], [-0.13, -0.07, 0.29], [0.12, 0.05, -0.24], [-0.03, 0.17, 0.12], [0.07, -0.02, 0.07], [0.04, 0.01, -0.08], [0.00, -0.02, 0.08], [-0.02, 0.03, 0.08], [0.02, 0.06, -0.08], [0.01, 0.04, -0.07], [-0.09, 0.07, -0.02], [-0.04, 0.01, 0.09], [0.15, -0.04, 0.59], [0.06, 0.03, -0.58], [-0.15, 0.01, 0.47], [0.25, 0.00, 0.04], [0.21, -0.02, -0.67], [-0.36, 0.03, 0.55], [0.14, -0.04, 0.28], [-0.13, 0.04, -0.39], [-0.25, 0.03, 0.18], [0.08, -0.01, 0.12], [0.25, 0.01, -0.39], [-0.02, -0.01, 0.09], [0.03, -0.01, 0.07], [0.19, -0.03, 0.05], [0.07, 0.00, -0.07], [-0.10, 0.02, -0.08], [-0.07, 0.01, -0.05], [-0.01, -0.05, -0.15], [0.05, -0.15, 0.02], [-0.04, 0.07, -0.03], [-0.01, -0.08, 0.11], [0.29, 0.09, -0.06], [-0.06, -0.11, -0.08], [-0.03, -0.05, 0.08], [-0.07, 0.11, -0.01], [-0.12, 0.28, -0.18], [0.00, -0.11, -0.07], [-0.01, -0.05, 0.12], [0.15, -0.04, 0.00]],
  "lowdin_charge": [-0.030, 0.087, 0.078, 0.087, -0.610, -0.036, 0.122, -0.143, -0.161, 0.022, -0.219, -0.096, -0.088, -0.237, 0.052, 0.077, -0.133, -0.193, -0.195, -0.131, 0.131, 0.113, 0.110, 0.118, 0.120, 0.110, 0.129, 0.119, 0.088, -0.192, -0.001, -0.146, 0.087, -0.233, -0.036, -0.672, -0.109, -0.024, -0.086, 0.105, 0.102, 0.671, 0.113, 0.106, 0.106, 0.125, 0.129, 0.111, 0.138, -0.045, 0.082, 0.084, 0.086, -0.042, 0.086, 0.085, 0.076]
}
********
Reply >
{
  "formula": "C24H28ClN3O",
  "method": "ωB97M-V with the def2-TZVPD basis set",
  "lumo_ev": 0.49,
  "gap_ev": 8.361,
  "max_force_ev_per_a": 0.70,
  "e_homo_ev": -7.9,
  "e_tot_ev": -44384.48628,
  "elements": ["C", "H", "H", "H", "C", "N", "H", "C", "C", "C", "C", "C", "C", "C", "O", "H", "C", "C", "C", "C", "H", "H", "H", "H", "H", "H", "H", "H", "N", "C", "C", "C", "N", "C", "C", "C", "C", "C", "C", "H", "H", "Cl", "H", "H", "H", "H", "H", "H", "H", "C", "H", "H", "H", "C", "H", "H", "H"],
  "xyz": [[-4.7464, -1.1418, 1.6708], [-4.9921, -1.5051, 2.6656], [-3.6814, -0.9296, 1.6353], [-5.2883, -0.2168, 1.4941], [-5.1352, -2.1968, 0.6309], [-4.9363, -1.6622, -0.7275], [-5.5154, -2.2000, -1.3649], [-3.5778, -1.6110, -1.2727], [-2.7400, -0.5066, -0.6771], [-1.4125, -0.7255, -0.3532], [-0.6234, 0.3014, 0.1399], [-1.1508, 1.5840, 0.3146], [-2.4777, 1.8184, -0.0222], [-3.2741, 0.7716, -0.5022], [-4.5721, 1.0313, -0.7880], [-5.0175, 0.1623, -0.9016], [-3.1062, 3.1775, 0.1113], [-2.0633, 4.2836, 0.1938], [-1.0348, 3.9230, 1.2567], [-0.2578, 2.6859, 0.8205], [0.4375, 2.9556, 0.0175], [0.3484, 2.3243, 1.6554], [-0.3428, 4.7507, 1.4216], [-1.5482, 3.7212, 2.1994], [-1.5637, 4.3952, -0.7706], [-2.5475, 5.2305, 0.4361], [-3.7276, 3.1849, 1.0125], [-3.7764, 3.3370, -0.7353], [0.7289, 0.0262, 0.4633], [1.7225, -0.0556, -0.4614], [1.4622, 0.0520, -1.8214], [2.5165, -0.0216, -2.7271], [3.7720, -0.1874, -2.3976], [4.0624, -0.3190, -1.0901], [5.4157, -0.5132, -0.7419], [5.7706, -0.6659, 0.5681], [4.8108, -0.6426, 1.5885], [3.4940, -0.4485, 1.2710], [3.0789, -0.2724, -0.0621], [2.7683, -0.4512, 2.0719], [5.1177, -0.7820, 2.6133], [7.4291, -0.9066, 0.9950], [6.1449, -0.5396, -1.5351], [2.3200, 0.0746, -3.7880], [0.4538, 0.2116, -2.1688], [1.0027, 0.1836, 1.4206], [-0.9742, -1.7033, -0.4903], [-3.0398, -2.5629, -1.1766], [-3.6877, -1.4101, -2.3469], [-6.6346, -2.4893, 0.7566], [-6.9268, -3.2984, 0.0886], [-6.8783, -2.7820, 1.7743], [-7.2132, -1.6042, 0.5028], [-4.3449, -3.4856, 0.8995], [-4.5137, -4.2149, 0.1086], [-4.6669, -3.9233, 1.8405], [-3.2796, -3.2808, 0.9701]],
  "atomic_forces_ev_per_a": [[-0.04, -0.15, -0.12], [-0.01, -0.04, 0.14], [0.07, 0.02, 0.07], [-0.07, 0.12, 0.01], [-0.14, -0.09, 0.43], [-0.18, -0.10, -0.32], [0.06, 0.05, 0.03], [0.15, 0.00, -0.09], [-0.07, -0.06, -0.19], [-0.05, 0.26, 0.12], [-0.32, -0.08, -0.07], [0.17, -0.29, -0.12], [-0.36, -0.07, -0.06], [0.35, -0.05, 0.07], [0.05, 0.18, -0.09], [-0.08, -0.08, 0.10], [0.02, 0.13, -0.13], [-0.13, -0.07, 0.29], [0.12, 0.05, -0.24], [-0.03, 0.17, 0.12], [0.07, -0.02, 0.07], [0.04, 0.01, -0.08], [0.00, -0.02, 0.08], [-0.02, 0.03, 0.08], [0.02, 0.06, -0.08], [0.01, 0.04, -0.07], [-0.09, 0.07, -0.02], [-0.04, 0.01, 0.09], [0.15, -0.04, 0.59], [0.06, 0.03, -0.58], [-0.15, 0.01, 0.47], [0.25, 0.00, 0.04], [0.21, -0.02, -0.67], [-0.36, 0.03, 0.55], [0.14, -0.04, 0.28], [-0.13, 0.04, -0.39], [-0.25, 0.03, 0.18], [0.08, -0.01, 0.12], [0.25, 0.01, -0.39], [-0.02, -0.01, 0.09], [0.03, -0.01, 0.07], [0.19, -0.03, 0.05], [0.07, 0.00, -0.07], [-0.10, 0.02, -0.08], [-0.07, 0.01, -0.05], [-0.01, -0.05, -0.15], [0.05, -0.15, 0.02], [-0.04, 0.07, -0.03], [-0.01, -0.08, 0.11], [0.29, 0.09, -0.06], [-0.06, -0.11, -0.08], [-0.03, -0.05, 0.08], [-0.07, 0.11, -0.01], [-0.12, 0.28, -0.18], [0.00, -0.11, -0.07], [-0.01, -0.05, 0.12], [0.15, -0.04, 0.00]],
  "lowdin_charge": [-0.030, 0.087, 0.078, 0.087, -0.610, -0.036, 0.122, -0.143, -0.161, 0.022, -0.219, -0.096, -0.088, -0.237, 0.052, 0.077, -0.133, -0.193, -0.195, -0.131, 0.131, 0.113, 0.110, 0.118, 0.120, 0.110, 0.129, 0.119, 0.088, -0.192, -0.001, -0.146, 0.087, -0.233, -0.036, -0.672, -0.109, -0.024, -0.086, 0.105, 0.102, 0.671, 0.113, 0.106, 0.106, 0.125, 0.129, 0.111, 0.138, -0.045, 0.082, 0.084, 0.086, -0.042, 0.086, 0.085, 0.076]
}